Chapter Ten

Materials data, kept here for reference:
********
{
  "formula": "CaRu",
  "functional": "GGA-PBE",
  "state": "optimized geometry",
  "crystal_system": "hexagonal",
  "magmom_total_mub_per_fu": 0.0,
  "space_group": "P6_3/mmc (194)",
  "total_energy_ev_per_atom": -5.37,
  "lattice_angstrom": [[-0.486, 4.616, -1.778], [-3.961, -2.396, 1.811], [0.895, 1.728, 4.242]],
  "species": ["Ru", "Ca", "Ru", "Ca"],
  "fractional_positions": [[0.000, 0.000, 0.000], [0.333, 0.667, 0.250], [0.000, 0.000, 0.500], [0.667, 0.333, 0.750]]
}

~~~~~

Compound: KPa4Ni3S12
Source: Alexandria
Functional: PBE-GGA
Structure: optimized geometry

Cell: 9.6687 9.6687 9.6687 Å, 90.00 90.00 90.00°
Closest atoms and distances in Å follow each position.
Space group Im-3 (No. 204)
Asymmetric unit:
K (0.0000, 0.0000, 0.0000) [2 per cell]  12 S 3.50
Pa (0.2500, 0.2500, 0.2500) [8 per cell]  6 S 2.67
Ni (0.0000, 0.0000, 0.5000) [6 per cell]  4 S 2.30
S (0.0000, 0.1609, 0.3246) [24 per cell]  1 Ni 2.30

Summary:
density of states at the Fermi level	1.91	states/eV/cell
total magnetic moment	2.90	μB/f.u.
uncorrected formation energy	-25.6	kcal/mol of atoms

***

Compound: K2Pa2NiS6
Source: Alexandria
Functional: PBE-GGA
Structure: optimized geometry

Cell: 6.4532 12.8364 7.7354 Å, 90.00 104.00 90.00°
Closest atoms and distances in Å follow each position.
Space group C2/m (No. 12)
Asymmetric unit:
K (0.0000, 0.1451, 0.0000) [4 per cell]  6 S 3.13-3.29
Pa (0.0000, 0.3419, 0.5000) [4 per cell]  6 S 2.61-2.72
Ni (0.0000, 0.0000, 0.5000) [2 per cell]  2 S 2.21
S (0.2419, 0.0000, 0.3401) [4 per cell]  1 Ni 2.21
S (0.2431, 0.1978, 0.7061) [8 per cell]  2 Pa 2.61-2.69

Summary:
density of states at the Fermi level	3.07	states/eV/cell
total magnetic moment	0.26	μB/f.u.
uncorrected formation energy	-30.1	kcal/mol of atoms

***

Compound: KPaNiS4
Source: Alexandria
Functional: PBE-GGA
Structure: optimized geometry

Cell: 6.5953 5.6393 8.9171 Å, 90.00 106.52 90.00°
Closest atoms and distances in Å follow each position.
Space group P2_1/m (No. 11)
Asymmetric unit:
K (0.2426, 0.2500, 0.4483) [2 per cell]  8 S 3.15-3.47
Pa (0.2344, 0.2500, 0.9428) [2 per cell]  6 S 2.58-2.86
Ni (0.2653, 0.7500, 0.1640) [2 per cell]  4 S 2.18-2.23
S (0.0562, 0.7500, 0.3220) [2 per cell]  1 Ni 2.23
S (0.0765, 0.7500, 0.9167) [2 per cell]  1 Ni 2.20
S (0.4837, 0.5140, 0.7970) [4 per cell]  1 Ni 2.18

Summary:
density of states at the Fermi level	8.25	states/eV/cell
total magnetic moment	0.81	μB/f.u.
uncorrected formation energy	-26.9	kcal/mol of atoms

~~~~~

No. 1
Here is crystalline TlIn4Tc2 at its relaxed geometry from Alexandria via LeMat-Bulk. Energies are from PBE.

Formation energy from the elements   924 meV/atom

a = 7.9459 Å, b = 7.9459 Å, c = 7.9459 Å
α = 139.06°, β = 139.06°, γ = 59.28°
Last column: nearest neighbours and their distance in Å.
Sites, in units of the cell vectors:
Tl 0.0000 0.0000 0.0000  6 In 2.78-2.99
In 0.0000 0.5000 0.5000  2 Tl 2.78, 4 Tc 2.99
In 0.2165 0.2165 0.0000  1 Tc 2.82, 1 Tl 2.99
In 0.5000 0.0000 0.5000  2 Tl 2.78, 4 Tc 2.99
********

Rose stayed home that day, hoping that Jack would call. When he didn’t, she tried calling him, but no one answered. Obviously, he didn’t want to talk to her right now.

Ruth did call, though, much to Rose’s dismay. And to her irritation, she sounded much more cheerful than she had that morning. It was exactly the opposite of the way she wanted things to be—Jack angry with her, and Ruth inexplicably pleased with her.

"What is it, Mother?" Rose knew that she was being rude, but Ruth’s attitude was grating on her.

"Don’t speak to me that way, Rose. You know I don’t like it."

"Mother…why are you calling me? I said I’d call you in the morning."

"I wanted to talk to you. Is it a crime to want to speak to my daughter?"

"What are you so happy about? A few hours ago, you were furious with me. Now, you sound like the world is a beautiful, wonderful place, and everything is as it should be. And don’t tell me it’s about work. I know your office is closed on Sundays."

"Rose, I’m just happy to be near you."

Rose sighed. "Wonderful. Look, Mother, I’m waiting for a call. I really can’t talk right now."

The piece is interrupted by materials data:
********
Zn2GePd5Au2 | PBE | relaxed

a = 9.309 Å, b = 9.309 Å, c = 3.721 Å
α = 90.00°, β = 90.00°, γ = 90.00°
Space group P4/mbm (No. 127)
Unique sites:
Zn  0.129  0.371  0.000 x4
Ge  0.000  0.000  0.000 x2
Pd  0.000  0.500  0.500 x2
Pd  0.093  0.184  0.500 x8
Au  0.165  0.665  0.000 x4

Output
Total moment ... 0.00 μB/cell
Density of states at the Fermi level ... 2.17 states/eV/f.u.

ZrGePdAu | PBE | relaxed

a = 6.574 Å, b = 6.574 Å, c = 6.574 Å
α = 90.00°, β = 90.00°, γ = 90.00°
Space group F-43m (No. 216)
Unique sites:
Zr  0.000  0.000  0.000 x4
Ge  0.250  0.250  0.750 x4
Pd  0.000  0.000  0.500 x4
Au  0.250  0.250  0.250 x4

Output
Total moment ... 0.00 μB/cell
Density of states at the Fermi level ... 2.81 states/eV/f.u.

Pm5Ge4Au | PBE | relaxed

a = 3.471 Å, b = 3.471 Å, c = 20.261 Å
α = 90.00°, β = 90.00°, γ = 90.00°
Space group P4/mmm (No. 123)
Unique sites:
Pm  0.000  0.000  0.000 x1
Pm  0.000  0.000  0.201 x2
Pm  0.000  0.000  0.399 x2
Ge  0.500  0.500  0.101 x2
Ge  0.500  0.500  0.303 x2
Au  0.500  0.500  0.500 x1

Output
Total moment ... 0.00 μB/cell
Density of states at the Fermi level ... 6.07 states/eV/f.u.

Pm2GeAu | PBE | relaxed

a = 4.426 Å, b = 4.163 Å, c = 11.206 Å
α = 90.00°, β = 90.00°, γ = 90.00°
Space group Amm2 (No. 38)
Unique sites:
Pm  0.000  0.000  0.000 x2
Pm  0.500  0.000  0.277 x2
Ge  0.500  0.000  0.552 x2
Au  0.000  0.000  0.719 x2

Output
Total moment ... 0.00 μB/cell
Density of states at the Fermi level ... 3.05 states/eV/f.u.
Energy above the most stable polymorph in this dataset ... 0.000 eV/atom

Pm4Ge5Au3 | PBE | relaxed

a = 13.888 Å, b = 4.581 Å, c = 11.952 Å
α = 90.00°, β = 122.70°, γ = 90.00°
Space group C2/m (No. 12)
Unique sites:
Pm  0.117  0.000  0.468 x4
Pm  0.238  0.000  0.838 x4
Ge  0.000  0.500  0.000 x2
Ge  0.066  0.500  0.629 x4
Ge  0.240  0.000  0.331 x4
Au  0.000  0.000  0.000 x2
Au  0.094  0.500  0.861 x4

Output
Total moment ... 0.00 μB/cell
Density of states at the Fermi level ... 7.91 states/eV/f.u.

Pm2GeAu | PBE | relaxed

a = 3.646 Å, b = 3.646 Å, c = 7.476 Å
α = 90.00°, β = 90.00°, γ = 90.00°
Space group P4/mmm (No. 123)
Unique sites:
Pm  0.000  0.000  0.247 x2
Ge  0.500  0.500  0.000 x1
Au  0.500  0.500  0.500 x1

Output
Total moment ... 0.00 μB/cell
Density of states at the Fermi level ... 2.87 states/eV/f.u.
Energy above the most stable polymorph in this dataset ... 0.089 eV/atom

Pm3GeAu | PBE | relaxed

a = 4.257 Å, b = 7.409 Å, c = 9.237 Å
α = 90.00°, β = 90.00°, γ = 90.00°
Space group Pmmn (No. 59, origin choice 2)
Unique sites:
Pm  0.250  0.016  0.175 x4
Pm  0.250  0.250  0.571 x2
Ge  0.250  0.250  0.902 x2
Au  0.250  0.750  0.655 x2

Output
Total moment ... 0.00 μB/cell
Density of states at the Fermi level ... 6.48 states/eV/f.u.

Pm2Ge2Au3 | PBE | relaxed

a = 10.603 Å, b = 4.225 Å, c = 7.318 Å
α = 90.00°, β = 113.27°, γ = 90.00°
Space group C2/m (No. 12)
Unique sites:
Pm  0.141  0.000  0.269 x4
Ge  0.147  0.000  0.703 x4
Au  0.000  0.500  0.500 x2
Au  0.113  0.500  0.938 x4
********
Back to the piece:

"Is this about that Dawson boy?"

Rose stared at the phone for a moment, shocked into speechlessness. "What about him?"

"While I was looking for a taxi, I saw him come out of your house, looking rather upset. Trouble in paradise, Rose?"

"Yes, Mother, if you must know. He was upset about the remarks that I made about him after high school. You know—that I hated him, made a mistake in going out with him, and never wanted to see him again?"

== Unrelated to this piece: materials data ==
'''
# 1
{"formula": "SrCu3Sn4O12", "functional": "PBEsol", "state": "relaxed", "raw_formation_energy_mev_per_atom": -1460, "cell": [[6.6703, 0.0000, 0.0000], [-2.2234, 6.2888, 0.0000], [-2.2234, -3.1444, 5.4463]], "species": ["O", "O", "Cu", "Sr", "O", "Sn", "Sn", "Cu", "O", "O", "O", "O", "O", "Sn", "O", "Cu", "Sn", "O", "O", "O"], "frac_coords": [[0.6899, 0.5193, 0.8293], [0.6899, 0.8606, 0.1707], [0.5000, 0.5000, 0.0000], [0.0000, 0.0000, 0.0000], [0.8606, 0.1707, 0.6899], [0.5000, 0.5000, 0.5000], [0.0000, 0.0000, 0.5000], [0.0000, 0.5000, 0.5000], [0.1707, 0.3101, 0.4807], [0.3101, 0.4807, 0.1707], [0.8293, 0.3101, 0.1394], [0.3101, 0.1394, 0.8293], [0.4807, 0.1707, 0.3101], [0.0000, 0.5000, 0.0000], [0.1707, 0.6899, 0.8606], [0.5000, 0.0000, 0.5000], [0.5000, 0.0000, 0.0000], [0.8293, 0.6899, 0.5193], [0.1394, 0.8293, 0.3101], [0.5193, 0.8293, 0.6899]]}

***

# 2
{"formula": "RbBeCd3", "functional": "PBEsol", "state": "relaxed", "delta_e_f_ev_per_atom": 1.37, "cell": [[6.4211, 0.0000, 0.0000], [0.0000, 6.4211, 0.0000], [0.0000, 0.0000, 6.4211]], "species": ["Rb", "Cd", "Cd", "Be", "Cd"], "frac_coords": [[0.0000, 0.0000, 0.0000], [0.0000, 0.5000, 0.0000], [0.5000, 0.0000, 0.0000], [0.5000, 0.5000, 0.5000], [0.0000, 0.0000, 0.5000]]}

***

# 3
{"formula": "MoOs2Rh", "functional": "PBEsol", "state": "relaxed", "delta_e_f_ev_per_atom": 0.42, "cell": [[-3.7704, 0.2470, -2.1223], [-2.9256, -3.1715, 0.4037], [-3.6747, 0.7072, 2.1858]], "species": ["Rh", "Os", "Os", "Mo"], "frac_coords": [[0.5000, 0.5000, 0.5000], [0.2500, 0.2500, 0.2500], [0.7500, 0.7500, 0.7500], [0.0000, 0.0000, 0.0000]]}

~~~~~

DFT (PBE-GGA) results for a relaxed NiPb crystal.

abc: 6.3121 6.3121 6.3121
angles: 97.13 97.13 138.73
Element x y z (fractional)
Ni 0.1574 0.1574 0.3149
Ni 0.1574 0.8426 0.0000
Ni 0.8426 0.1574 0.0000
Ni 0.8426 0.8426 0.6851
Pb 0.2212 0.5000 0.7212
Pb 0.5000 0.2212 0.7212
Pb 0.5000 0.7788 0.2788
Pb 0.7788 0.5000 0.2788

ΔH_f (0 K)   0.264 eV/atom
Total energy   -4.481 eV/atom
Crystal system   tetragonal
SG   No. 139

~~~~~

A geometry-optimized SrBeIn2 structure. Source: the Alexandria database, functional PBE.

Cell: 4.341 4.290 5.957 Å, 74.12 90.00 90.00°
Fractional coordinates of all 4 atoms:
Sr 0.500 0.250 0.250
Be 0.500 0.750 0.750
In 0.000 0.910 0.936
In 0.000 0.590 0.564

Output
'''
== Back to the piece ==

"Oh, how terrible." Ruth tried to inject some sympathy into her voice, but wasn’t very successful.

"Mother, don’t be sarcastic. You’re the one who repeated all those things—things that should have been left in the past, or saved for a better time."

"Relationships don’t work if you’re lying to each other, Rose."

"I wasn’t lying to him! It had never come up!"

"Well, Rose, look at it this way. If he can get so put out over a few words from years ago, it just goes to show that he’s wrong for you. Someone as beautiful and intelligent as you can do much better."

"Mother…you said those things on purpose, didn’t you? You were trying to make trouble."

"I wasn’t trying to make trouble. I was trying to show you how much better off you would be with someone else."

"You were trying to manipulate me again! Mother, don’t you understand? I don’t want your help or your advice. Jack is the best thing that ever happened to me, and if you’ve driven us apart…I will never speak to you again. Is that in any way unclear?"

"Rose, you are nothing but an ungrateful child. After all I’ve done for you…"

"You’ve manipulated me, pushed me around, and made my life miserable. The only reason I put up with you is because you’re my mother."

Ruth drew in a shocked breath. "Rose, how dare you?"

"I meant what I said, Mother. I love Jack, and if you’ve destroyed what we have together, I will never forgive you. Good-bye, Mother."

Rose slammed down the phone, shaking with anger. Ruth had known exactly what she was doing, and Rose had fallen right into her trap again.

She paced around the room for a moment, her anger growing with each passing moment. Finally, she returned to the phone, picking it up and dialing Jack’s number again.

When there was still no response, she turned on her heel and headed for the door. Her mother had gone too far this time. Rose would not allow her to destroy what she had with Jack.

Grabbing her keys, she rushed out the front door and headed for her car. She had to fix things with Jack as soon as possible, before her mother succeeded in tearing them apart. Jack had given her a key to his apartment, so if he wasn’t there, she would simply go inside and wait for him.

Ruth wouldn’t win this time, no matter how hard she tried. Rose would make sure of it.

Chapter Eleven